Excerpt
'''
No. 1
The following is a quantum chemistry calculation of a single C5H11N3O molecule at a distorted geometry, from the OMol25 dataset.

The spin multiplicity is 1. Its HOMO-LUMO gap is 7.32 eV. For the calculated total energy, the calculation gives -436.48458 Eh. The value obtained for the energy above the lowest of the compared OMol25 structures with the same formula, charge and spin is 426.5 kJ/mol.

```
20
Properties=species:S:1:pos:R:3:forces:R:3:lowdin_charge:R:1
C 0.357063 -0.180155 -1.628533 0.2543 -0.4087 -0.1343 -0.210
C 1.150649 -0.825905 2.684723 -0.3315 0.1726 -0.1216 -0.152
C 0.429172 -1.687084 -1.405396 -0.0440 0.2063 -0.1862 -0.076
C -0.596147 1.099522 0.210692 -0.3501 0.0850 0.1595 -0.390
C 1.248940 0.221999 1.612666 1.0798 -0.0781 0.1567 -0.145
N -1.416298 2.200694 0.452225 0.1200 -0.0555 -0.3085 0.137
O -1.650002 1.065867 -1.904267 0.0910 0.1955 0.1587 -0.024
N -0.827318 0.372227 -0.980103 -0.4849 0.2062 0.0799 -0.118
N 0.181783 0.615687 1.080104 -0.6900 0.1797 -0.3542 0.071
H -2.538014 0.697827 -1.787176 0.2783 -0.0980 0.0636 0.115
H -1.065046 2.804903 1.181812 0.0238 -0.1110 -0.0288 0.097
H -1.651300 2.699004 -0.398593 0.0249 -0.0910 0.1560 0.084
H 1.261552 0.292793 -1.238975 -0.0671 0.0646 -0.0376 0.111
H 0.281598 0.043432 -2.694217 -0.0443 0.0655 0.1286 0.120
H 0.141370 -1.195468 2.878801 -0.1380 -0.0605 0.0595 0.059
H 1.564125 -0.397970 3.597398 0.0852 -0.0689 0.0611 0.058
H 1.794613 -1.656784 2.398631 0.0937 -0.0062 0.0542 0.058
H -0.484969 -2.159871 -1.762637 -0.0105 -0.0482 0.0047 0.074
H 0.545214 -1.904546 -0.347491 0.0210 -0.0779 0.0785 0.059
H 1.273013 -2.106173 -1.949662 0.0884 -0.0714 0.0103 0.073
```
Forces are in eV/Å.


No. 2
The following is a quantum chemistry calculation of 3 unconnected molecules or ions with the total composition C5H11N3O at a distorted geometry, from the OMol25 dataset.

The spin multiplicity is 1. Its HOMO-LUMO gap is 7.57 eV. For the calculated total energy, the calculation gives -436.40372 Eh. The value obtained for the energy above the lowest of the compared OMol25 structures with the same formula, charge and spin is 638.8 kJ/mol.

```
20
Properties=species:S:1:pos:R:3:forces:R:3:lowdin_charge:R:1
C 0.180747 -0.773779 0.458196 6.0793 0.0440 0.6682 -0.389
C -2.827654 0.641882 -0.465715 0.1204 -0.1497 -0.0153 -0.046
N -0.119344 0.519850 0.701741 -3.7641 0.0134 0.8832 -0.081
C -2.072314 -0.243446 0.497415 -0.4232 1.2284 0.7370 -0.277
N 0.219669 1.421384 -0.202483 -0.0532 -0.0458 -0.5115 0.039
N 0.223380 -1.254375 -0.882352 -0.1125 -0.2825 -0.2821 0.054
C 2.221898 -0.519768 0.873841 -2.1430 -1.1457 -0.1393 -0.075
C 3.113794 0.191616 0.209772 -0.0440 0.1712 -0.4132 -0.118
O -2.566714 -1.053109 1.220905 1.0476 0.4917 -0.6515 0.088
H -0.049885 -1.438177 1.283554 -0.4245 0.1203 -0.2242 0.117
H 0.095659 2.382813 0.069065 -0.1026 -0.2433 -0.1077 0.108
H 0.286044 1.160798 -1.181247 -0.0357 0.0294 0.1574 0.100
H 1.181817 -1.520601 -1.099147 -0.4087 -0.0080 -0.1117 0.073
H -0.383296 -2.060577 -0.980325 0.0705 -0.0574 -0.1455 0.079
H 2.485389 -1.076958 1.773027 0.1007 0.0596 -0.0791 0.037
H -2.724307 1.678242 -0.140000 0.0822 -0.0483 -0.0219 0.077
H -2.400136 0.555127 -1.464299 0.0213 0.0503 -0.0093 0.072
H -3.885485 0.370933 -0.477818 0.1228 -0.0652 0.0054 0.080
H 2.850463 0.778471 -0.670386 0.0008 -0.1362 0.0655 0.026
H 4.170274 0.239672 0.476256 -0.1340 -0.0263 0.1956 0.036
```
Forces are in eV/Å.


No. 3
The following is a quantum chemistry calculation of a molecular structure, C5H11N3O at a distorted geometry, from the OMol25 dataset.

The total charge is +2. The spin multiplicity is 1. Its HOMO-LUMO gap is 11.09 eV. For the calculated total energy, the calculation gives -435.93604 Eh. The value obtained for the energy above the lowest of the compared OMol25 structures with the same formula, charge and spin is 105.6 kJ/mol.

```
20
Properties=species:S:1:pos:R:3:forces:R:3:lowdin_charge:R:1
C 0.031131 -1.248164 -0.035747 -1.0568 2.0404 0.2237 0.006
'''

Exercise
Retype every line above that contains the word "Eh".

Result
The spin multiplicity is 1. Its HOMO-LUMO gap is 7.32 eV. For the calculated total energy, the calculation gives -436.48458 Eh. The value obtained for the energy above the lowest of the compared OMol25 structures with the same formula, charge and spin is 426.5 kJ/mol.
The spin multiplicity is 1. Its HOMO-LUMO gap is 7.57 eV. For the calculated total energy, the calculation gives -436.40372 Eh. The value obtained for the energy above the lowest of the compared OMol25 structures with the same formula, charge and spin is 638.8 kJ/mol.
The total charge is +2. The spin multiplicity is 1. Its HOMO-LUMO gap is 11.09 eV. For the calculated total energy, the calculation gives -435.93604 Eh. The value obtained for the energy above the lowest of the compared OMol25 structures with the same formula, charge and spin is 105.6 kJ/mol.